the best persona is the first one for ps1. the western/european release is superior in script and execution of story than the original JP release. hard-core first-person view dungeons with (sometimes) above-average dungeon design, a great variety of ways to do battle including melee weapons and guns, and of course, your personas, and the best demon-negotiation system out of ANY of the persona games due to the dialog being both "real" and "comedic" without EVER slipping into "juvenile" or even worse, "pedestrian".
it also features the irrefutably best soundtrack out of all the persona games as it borrows from shin megami tensei series and goes for a slightly more mature soundtrack full of evocative piano, pipe organs, opera wailing that is not played for jokes, and some pretty choice electronic ambiance tracks inside a lot of the dungeons. sadly persona 1 was the last persona game to feature a good OST. as good as persona 2 is its soundtrack was a herald of things to come.
persona 2, also for ps1, features the best written story in the series and no surprise it also features the best written characters. spoiler as to why: because it's the only persona that has a Adult main cast. however the absence of the first-person dungeon design is SORELY missed as it utilizes the now Persona-staple overhead view for navigation... sad. very sad. the mechanics were also greatly dumbed down from persona 1 and any and all vestiges of the HUGE, HUGE influence that the SMT games had on the development of persona 1 are already disappearing in persona 2, and by persona 3... well, might as well be living on the moon.
perosna 3 and 4 are atrocious garbage and feature no redeeming qualities. avoid. persona 5 also looks unbelievably horrible.
dumbed down, sanitized, casualized and their living hearts ripped out of each game's chest, blood dripping from the pumping thing while slowly ceasing eventually its movement while the sounds of the j-pop OST's that they inserted into the remakes of both games is heard.
the mere fact that they replaced both games' OST's in favor of j-pop tunes is all of the information you need to make the decision that the remakes are abominations.
they also edited and censored large chunks of the persona 1 and persona 2 innocent sin scripts, btw. There are many images that can be found via google showing side-by-side shots of persona 1 NPC interactions and the remake script is... well, it was fucking made for babies, whereas the original game script for persona 1 and persona 2 have teeth, nails, bite, heart and a fucking negro.
truly the downfall and continued
R A P E of the persona series is a sad and very informative lesson about all you really need to know concerning the future direction of the japanese video game industry... i.e. no good games are made anymore and what was good once is no longer palatable to the products of the decades-long manipulations of all those Faceless Corporations (tm) and their now fruitful masterplan of tardification of the people so that they would could develop inferior and intelligence-insulting products that would not be questioned by its consumer.
this is the type of competently written dialog that is forever gone from the persona series. the dialog in the images you are about to see are from persona 1 and 2, original psx, and while by no menas is this shit high art, or hell, even basic literary; they are however full of wonderful and seemingly EFFORTLESS characterization of every single character you meet in the game and of course that includes the main casts most of all. Everyone in persona 1 and persona 2 is simultaneously nice, comedic, cryptic, mysterious, and forever straddling the line between "serious business story" and "satire? no... is it parody? i don't know. tongue-in-cheek it's not, however". that is a fine line but they managed it!
from persona 1:
just your average comment from the school's student president being interrogated on suspicion of demonic activity by our intrepid heroes.
**Crystal structures that have nothing to do with the entry**
=====
First-principles (r2SCAN) data for a relaxed structure of Rb2SbBr6, as listed in the Materials Project.

Lattice parameters (Å, degrees): 7.608 7.608 7.608 60.00 60.00 60.00
Positions (direct):
1 Rb 0.250 0.250 0.250
2 Rb 0.750 0.750 0.750
3 Sb 0.000 0.000 0.000
4 Br 0.250 0.250 0.750
5 Br 0.250 0.750 0.250
6 Br 0.250 0.750 0.750
7 Br 0.750 0.250 0.250
8 Br 0.750 0.250 0.750
9 Br 0.750 0.750 0.250

Results
- calculated density (g cm⁻³) = 4.1
- VASP energy (Ry per atom) = -1.18009

---

First-principles (r2SCAN) data for a relaxed structure of CaWF6, as listed in the Materials Project.

Lattice parameters (Å, degrees): 5.958 5.958 5.958 56.56 56.56 56.56
Positions (direct):
1 Ca 0.000 0.000 0.000
2 W 0.500 0.500 0.500
3 F 0.177 0.727 0.358
4 F 0.273 0.642 0.823
5 F 0.358 0.177 0.727
6 F 0.642 0.823 0.273
7 F 0.727 0.358 0.177
8 F 0.823 0.273 0.642

Results
- calculated density (g cm⁻³) = 4.1
- VASP energy (Ry per atom) = -0.94089

---

First-principles (r2SCAN) data for a relaxed structure of TbSF, as listed in the Materials Project.

Lattice parameters (Å, degrees): 3.786 3.786 6.823 90.00 90.00 90.00
Positions (direct):
1 Tb 0.250 0.250 0.227
2 Tb 0.750 0.750 0.773
3 S 0.250 0.250 0.646
4 S 0.750 0.750 0.354
5 F 0.250 0.750 0.000
6 F 0.750 0.250 0.000

Results
- calculated density (g cm⁻³) = 7.1
- VASP energy (Ry per atom) = -1.28544

---

First-principles (r2SCAN) data for a relaxed structure of YbPO4, as listed in the Materials Project.

Lattice parameters (Å, degrees): 5.627 5.627 5.627 106.12 106.12 116.40
Positions (direct):
1 Yb 0.375 0.625 0.750
2 Yb 0.625 0.375 0.250
3 P 0.125 0.875 0.250
4 P 0.875 0.125 0.750
5 O 0.140 0.713 0.427
6 O 0.214 0.287 0.927
7 O 0.287 0.214 0.427
8 O 0.287 0.860 0.073
9 O 0.713 0.140 0.927
10 O 0.713 0.786 0.573
11 O 0.786 0.713 0.073
12 O 0.860 0.287 0.573

Results
- calculated density (g cm⁻³) = 6.6
- VASP energy (Ry per atom) = -1.09826

---

First-principles (r2SCAN) data for a relaxed structure of TmCu, as listed in the Materials Project.

Lattice parameters (Å, degrees): 3.384 3.384 3.384 90.00 90.00 90.00
Positions (direct):
1 Tm 0.000 0.000 0.000
2 Cu 0.500 0.500 0.500

Results
- calculated density (g cm⁻³) = 10.0
- VASP energy (Ry per atom) = -1.71140

---

First-principles (r2SCAN) data for a relaxed structure of TaVO4, as listed in the Materials Project.

Lattice parameters (Å, degrees): 5.580 5.580 5.580 107.20 107.20 114.11
Positions (direct):
1 Ta 0.000 0.000 0.000
2 Ta 0.750 0.250 0.500
3 V 0.238 0.738 0.500
4 V 0.488 0.488 0.000
5 O 0.184 0.482 0.702
6 O 0.232 0.030 0.798
7 O 0.232 0.434 0.202
8 O 0.296 0.994 0.302
9 O 0.692 0.994 0.698
10 O 0.744 0.546 0.802
11 O 0.744 0.942 0.198
12 O 0.780 0.482 0.298

Results
- calculated density (g cm⁻³) = 7.4
- VASP energy (Ry per atom) = -1.27675

---

First-principles (r2SCAN) data for a relaxed structure of Eu2AgSn, as listed in the Materials Project.

Lattice parameters (Å, degrees): 5.474 5.474 5.474 60.00 60.00 60.00
Positions (direct):
=====
from persona 2:
your run-of-the-mill high school principal harassing our fearless silent protanist. notice how not only is there usage of very mild profanity but how this simple dialog from hannya shows he might be a royal dick but he also has a sense of humor. except he's a total dick.
from persona 1:
...ok, these two images are loaded. on the left Alana is complaining about having to go see the school doctor after the demon outbreak in the beginning of the game leads to the school forcing its students to receive medical examinations to see how they are holding up and if they are being affected. Alana is a sexualized stereotype of a character but she has probably the absolutely funniest lines in the entire game simply because she DGAF and she's dumb as a brick. it's perfect!
in fact, Alana's contract-negotiations with demons are almost exclusively comprised of alana saying mildly alarmingly stuff like promising zombies that she likes to rub night-cream on her chest before going to bed if answering a question about herself from the demon. she also mentions how she always forgets to wear underwear. sure, it's absolutely and completely juvenile but it's all in the EXECUTION, and throughout the story Alana does receive a character arc where she ends up much wiser person. plus it's never down to a level of "fan service". she is just being herself. again, CHARACTERIZATION.
-- Next to the article, the page also holds calculated crystals --
~~~
(1)
# PmCdAu2

A relaxed structure of PmCdAu2 (PBE, the Materials Project database).

V: 22.5 A^3/atom
crystal system: cubic
VASP energy: -3.71 eV per atom

```
data_PmCdAu2
_symmetry_space_group_name_H-M 'F m -3 m'
_symmetry_Int_Tables_number 225
_symmetry_space_group_name_Hall '-F 4 2 3'
_cell_length_a 7.1125
_cell_length_b 7.1125
_cell_length_c 7.1125
_cell_angle_alpha 90.00
_cell_angle_beta 90.00
_cell_angle_gamma 90.00
loop_
_atom_site_label
_atom_site_type_symbol
_atom_site_fract_x
_atom_site_fract_y
_atom_site_fract_z
_atom_site_occupancy
Pm1 Pm 0.0000 0.0000 0.0000 1
Cd1 Cd 0.0000 0.0000 0.5000 1
Au1 Au 0.2500 0.2500 0.2500 1
```

***

(2)
# Pr2CdAu2

A relaxed structure of Pr2CdAu2 (PBE, the Materials Project database).

V: 26.5 A^3/atom
crystal system: tetragonal
VASP energy: -4.11 eV per atom

```
data_Pr2CdAu2
_symmetry_space_group_name_H-M 'P 4/m b m'
_symmetry_Int_Tables_number 127
_symmetry_space_group_name_Hall '-P 4 2ab'
_cell_length_a 8.2435
_cell_length_b 8.2435
_cell_length_c 3.8947
_cell_angle_alpha 90.00
_cell_angle_beta 90.00
_cell_angle_gamma 90.00
loop_
_atom_site_label
_atom_site_type_symbol
_atom_site_fract_x
_atom_site_fract_y
_atom_site_fract_z
_atom_site_occupancy
Pr1 Pr 0.1760 0.3240 0.0000 1
Cd1 Cd 0.0000 0.0000 0.5000 1
Au1 Au 0.1248 0.6248 0.5000 1
```

***

(3)
# PrCdAu2

A relaxed structure of PrCdAu2 (PBE, the Materials Project database).

V: 23.1 A^3/atom
crystal system: cubic
VASP energy: -3.70 eV per atom

```
data_PrCdAu2
_symmetry_space_group_name_H-M 'F m -3 m'
_symmetry_Int_Tables_number 225
_symmetry_space_group_name_Hall '-F 4 2 3'
_cell_length_a 7.1807
_cell_length_b 7.1807
_cell_length_c 7.1807
_cell_angle_alpha 90.00
_cell_angle_beta 90.00
_cell_angle_gamma 90.00
loop_
_atom_site_label
_atom_site_type_symbol
_atom_site_fract_x
_atom_site_fract_y
_atom_site_fract_z
_atom_site_occupancy
Pr1 Pr 0.0000 0.0000 0.0000 1
Cd1 Cd 0.0000 0.0000 0.5000 1
Au1 Au 0.2500 0.2500 0.2500 1
```

***

(4)
# Cd2RhAu

A relaxed structure of Cd2RhAu (PBE, the Materials Project database).

V: 18.1 A^3/atom
crystal system: cubic
VASP energy: -3.24 eV per atom

```
data_Cd2RhAu
_symmetry_space_group_name_H-M 'F m -3 m'
_symmetry_Int_Tables_number 225
_symmetry_space_group_name_Hall '-F 4 2 3'
_cell_length_a 6.6184
_cell_length_b 6.6184
_cell_length_c 6.6184
_cell_angle_alpha 90.00
_cell_angle_beta 90.00
_cell_angle_gamma 90.00
loop_
_atom_site_label
_atom_site_type_symbol
_atom_site_fract_x
_atom_site_fract_y
_atom_site_fract_z
_atom_site_occupancy
Cd1 Cd 0.2500 0.2500 0.2500 1
Rh1 Rh 0.0000 0.0000 0.0000 1
Au1 Au 0.0000 0.0000 0.5000 1
```

* * * * *

No. 1
# PBE Na6Nb4Zn2Si6S3O36, relaxed
data_Na6Nb4Zn2Si6S3O36
_chemical_formula_sum 'Na12 Nb8 Zn4 Si12 S6 O72'
_cell_length_a 9.0024
_cell_length_b 9.0024
_cell_length_c 22.6599
_cell_angle_alpha 90.00
_cell_angle_beta 90.00
_cell_angle_gamma 120.00
_symmetry_space_group_name_H-M 'P 3 c 1'
_symmetry_Int_Tables_number 158
loop_
_symmetry_equiv_pos_as_xyz
'x,y,z'
'-y,x-y,z'
~~~
...ok, now to the right-side picture. That's... actually i completely forgot her name. Anyway, after the demonic outbreak and subsequent rampage and domination of the persona 1 heroe's town by these things the place has gone into complete lockdown with the national guard on the streets, families huddles inside their homes in sheer terror of the things bumping outside in the night and in that picture she has finally made her way back the High School after having gotten seperated and the students have posted guards on the school gates and demand a password as proof of both humanity and also to be given access to the school itself.
first, the good: everything I just described sounds really fucking cool doesn't it? yes, yes it does. it's like... oh my god, it's like THE GAME'S STORY IS ACTUALLY COHERENT AND COMPETENTLY MADE!!!!! Imagine that... right? Now, to be fair, everything I just described is also a complete rip-off of the shin megami tensei games... they do the same thing. example: go play Nocturne on PS2.
Attached: data records:
~~~
Material: GaN
Method: DFT, GGA-PBE
State: relaxed

Structure (POSCAR):
```
GaN
1.0
-7.771 -2.518 7.388
-6.735 -2.375 -8.639
3.514 -11.571 -0.453
N Ga
50 50
Cartesian
-9.174 -7.326 2.272
-6.252 -12.406 -3.869
-1.795 -8.157 1.603
-8.824 -6.384 -2.859
-5.910 -13.414 1.093
-6.164 -2.393 1.055
-1.470 -11.956 -1.790
-2.788 -10.673 1.564
-5.026 -11.249 -7.209
-13.248 -5.155 -1.917
-3.643 -2.758 -2.164
-4.267 -12.532 -1.489
-4.508 -8.872 0.181
0.491 -12.049 2.093
-4.465 -3.042 3.751
-4.160 -11.489 -1.114
1.012 -9.727 0.824
-2.131 -5.685 -2.354
-11.063 -7.290 -0.387
-8.413 -4.561 3.778
-1.199 -4.742 0.460
-7.792 -4.625 2.572
0.543 -7.277 -0.574
-8.334 -4.595 -0.243
-3.360 -2.682 -0.945
-0.758 -8.250 -3.442
-5.471 -4.677 -1.160
-10.853 -13.592 -1.991
-6.366 -9.324 -2.407
-7.348 -10.673 3.858
-2.141 -11.305 2.217
-7.146 -7.256 4.820
-3.081 -1.312 1.803
-0.621 -11.808 -1.053
-8.090 -12.069 -1.382
-9.576 -12.755 1.119
-5.234 -9.100 1.024
-4.784 -10.157 3.745
-8.649 -10.123 -4.158
-2.550 -13.334 -6.843
-2.560 -5.224 2.952
-2.811 -7.666 1.675
-6.289 -7.137 -4.712
-4.722 -9.033 3.810
-10.877 -5.120 2.022
-7.933 -9.967 0.762
-9.078 -11.125 -3.845
-3.765 -13.329 3.748
-4.021 -8.042 -6.769
-5.092 -4.048 4.279
-5.556 -9.283 -7.406
-5.988 -11.216 5.898
-5.368 -3.682 -2.841
-2.876 -13.402 -4.860
-2.216 -9.389 -2.367
-4.719 -8.424 -4.926
-4.094 -5.813 4.060
1.638 -11.349 -1.363
-3.869 -5.995 -1.319
-9.288 -4.539 -1.999
-9.715 -14.825 -3.152
-5.782 -10.571 -3.924
-7.642 -10.165 -1.181
-6.907 -5.935 -0.727
-7.739 -13.263 0.166
-5.633 -6.892 5.953
-3.016 -11.483 -7.384
-4.872 -3.528 0.279
-5.682 -13.201 3.067
-1.168 -2.877 -0.428
-7.677 -7.968 1.095
-2.310 -6.626 -4.118
-3.066 -5.019 1.078
-6.478 -10.941 1.803
-2.153 -10.989 -4.443
-5.155 -13.947 -3.941
-10.186 -11.665 -1.796
-6.234 -6.836 3.035
-7.070 -7.389 -2.878
-9.079 -5.820 -4.780
-9.815 -10.784 1.157
-5.944 -2.072 2.863
-6.729 -3.030 -7.794
-6.836 -5.125 -6.063
-4.898 -5.776 -4.189
-11.454 -5.582 -1.342
-7.375 -7.907 -6.288
-11.124 -7.076 1.612
-2.744 -1.624 -3.624
-4.678 -6.265 -7.597
-7.101 -3.624 5.033
-9.050 -5.454 1.344
-11.868 -4.036 0.787
-0.568 -8.968 -0.353
-7.965 -3.007 0.913
-7.763 -13.144 -3.000
-9.657 -8.023 -1.687
-4.540 -8.331 -2.120
-8.920 -6.617 4.198
-0.526 -5.792 -1.162
```

Properties
Total moment = 0.00 μB per formula unit
Crystal system = triclinic
E_tot = -0.20048 Ha/atom
SG = P1, No. 1
ΔE_f = 9 kJ/mol of formula units

---

Material: GaN
Method: DFT, GGA-PBE
State: relaxed

Structure (POSCAR):
```
GaN
1.0
-0.634 -4.599 11.585
2.290 -9.754 -3.541
10.596 1.868 1.218
N Ga
50 50
Cartesian
10.900 -9.644 4.875
11.002 -5.015 2.565
7.574 -8.688 -2.589
9.439 -4.480 7.910
6.233 -8.307 1.378
9.558 -12.280 8.372
7.165 -3.620 12.187
2.565 -12.838 8.308
2.442 -2.423 5.139
10.052 -6.362 5.280
3.712 -1.360 1.412
7.297 -8.628 -1.484
7.109 -5.574 1.761
6.046 -8.368 8.214
11.634 -8.860 7.771
9.923 -1.656 2.767
5.381 -11.288 7.394
3.567 -7.595 10.485
6.937 -2.776 8.841
7.721 -5.736 10.090
10.290 -2.675 5.113
~~~
and you know of COURSE that it was censored and removed in the psp remake.
to finish this, below you will see persona 1's Mark arguing with Brad about the danger of playing an occult game like "Persona", while Brad tries to bully mark into playing. The character of Mark is steadfast friend and protector but with a heart of gold, etc, and the character of Brad is the insecure narcissist with ego-problems and a burgeoning desire to control and manipulate people. Yes, both of them accomplish the fulfillment of such character traits in a mildly juvenile manner because they are, of course, juvenile high school students.
mark challenges brad and blatantly insults him. I wish you to know that this dialog was censored/edited int he psp remake. He does not exhibit any sort of human-like character in the remake and instead speaks only in generic placeholder dialog that is only there to hammer home to the psp player every "important" plot point because while at the same being completely neutered so as not to offend, in even the smallest way possible such as censoring the motherfucking word 'stupid'.
below, brad responds. Brad is an emotoinally stunted teenager who lashes out and is highly narcissistic. on the left is his ps1 response to mark, and on the right the PSP response. I will leave it to you to decide which is more I N T E R E S T I N G. no, not which is more literary, and no, not which has better grammar: but rather which of two serves the caracter better?
for those who have played persona 1 they know that mark is incredibly sensitive about people thinking he is not intelligent because he continually flunks classes. Mark's usage of the word 'stupid' was 100% intentional. And sadly all of this subtext is completely absent in the remake. Also, i'd like to point out the psp remake's need to label brad, LITERALLY label him as "Smug Student", as if they themselves have so little faith in their script that they do not feel confident that their dialog by itself will be able to convey proper characterization, and thus they decided to label each character so that the poor, poor person playing the psp remake doens't have to wonder about the mystery of any of these character for even one second as it is all laid out already. BADLY.